08-19-2009, 11:36 PM
(This post was last modified: 12-08-2011, 12:23 AM by Whitefeather.)
Quote:Metamorpheus Wrote: Do you think that some of the points are inaccurate? Maybe your understanding of worldly STO-ness differs from my own? Let's share practical advice!
Hi Metamorpheus,
Thank you for sharing your points. These are interesting and good starting points.
Sharing practical advice, I could not help but notice your choice of wording, such as :... Avoid..., try to..., refrain from..., resist..., avoid (again).... And then I pondered about the reasons behind your creation of these words and rules. It all seems like a fight somehow.
In your list of rules, I missed the creation of 'feelings', of 'embracing' life, of 'enjoying' the presence of otherselves, of 'laughing', of 'loving', of 'forgiving', etc., in brief, of having a happy time here on our beautiful Earth in relation to the activity of all chakras.
== What comes next are records of molecules, not part of the page ==
=====
Here is the molecule C3H3N3 from the OMol25 dataset. Energies are from wB97M-V/def2-TZVPD.

Each line ends with the Mulliken charge.
Element x y z (Å)
C: 0.2024 0.9509 -0.3534  -0.393
C: 1.3048 0.1183 -0.0735  -0.105
N: 1.1190 -1.1783 -0.2953  -0.219
N: -0.0720 -1.6645 0.1837  -0.101
N: -1.0999 -0.9804 0.3970  -0.154
C: -1.0360 0.3587 -0.0985  -0.042
H: -0.7800 1.1918 0.7420  0.190
H: 2.3258 0.4745 0.0310  0.383
H: -1.9640 0.7289 -0.5329  0.442

Atoms 1-2, force components in eV/Å:
-0.1 -0.2 0.0
0.1 -0.1 -0.2

Output
**DFT total energy**: -280.15889 hartree
**Energy above the lowest of the compared OMol25 structures with the same formula, charge and spin**: 6.038 eV
**HOMO energy**: -9.38 eV
**Spin multiplicity**: 1
**Net charge**: 0
**Strongest force on any atom**: 0.00684 hartree/bohr

* * * * *

# C11H16OSi

C11H16OSi in the gas phase (wB97M-V/def2-TZVPD, the Open Molecules 2025 dataset).

Cartesian coordinates (Å):
Si: -0.70 -0.12 0.44
O: 1.93 0.88 0.65
C: 0.20 0.20 -2.18
C: 0.38 0.63 3.18
C: 1.59 0.06 3.48
C: 0.26 1.87 2.36
C: -1.97 -0.91 -2.21
C: -0.81 -0.38 -4.24
C: -0.96 -0.26 -1.46
C: -1.99 -0.93 -3.59
C: 0.57 1.36 0.86
C: 0.23 0.18 -3.55
C: -0.05 -1.73 1.13
H: -0.75 2.24 2.37
H: 0.34 -1.63 2.22
H: -0.64 0.05 3.09
H: 1.06 0.51 -1.58
H: 1.06 2.62 2.61
H: -1.95 0.29 1.02
H: -0.78 -2.55 1.01
H: 2.48 0.73 3.34
H: 0.53 2.34 0.12
H: 0.87 -1.97 0.65
H: -0.72 -0.65 -5.31
H: -2.71 -1.54 -1.64
H: 1.76 -0.74 4.20
H: 2.24 0.27 1.30
H: -2.59 -1.41 -4.26
H: 1.13 0.57 -4.00

Computed properties:
**Gap between HOMO and LUMO**: 9.744 eV
**E_tot**: -21589.0238 eV
**ΔE to the lowest compared entry with this formula, charge and spin**: 47.6 kcal per mole
**Lowest unoccupied orbital energy**: 0.821 eV

natural (NBO) atomic charge list, values in e, 2 entries: 1.347 -0.764

***

# C11H16OSi

C11H16OSi as an isolated structure (wB97M-V/def2-TZVPD, the Open Molecules 2025 dataset).

Cartesian coordinates (Å):
Si: 0.85 -0.25 -0.81
O: 1.18 -1.65 -0.01
C: 0.24 -2.63 0.23
C: -0.58 -0.62 -2.07
C: 0.26 2.14 1.93
C: 2.56 0.45 -1.42
C: -0.85 2.82 2.51
C: -1.55 1.52 0.71
C: -0.61 -2.89 -1.01
C: -1.93 2.46 1.78
C: -1.47 -1.67 -1.42
C: 1.56 2.28 2.21
C: -0.25 1.20 0.90
H: 3.39 0.06 -0.88
H: -0.19 -1.04 -2.95
H: 0.76 -3.60 0.41
H: -1.22 0.19 -2.39
H: 0.02 -3.26 -1.89
H: 2.53 1.54 -1.28
H: -0.79 3.35 3.37
H: 2.92 0.26 -2.42
H: -2.25 0.97 0.06
H: -0.28 -2.19 1.09
H: -1.35 -3.64 -0.75
H: -3.00 2.82 1.98
H: -1.95 -1.29 -0.41
H: -2.23 -1.95 -2.03
H: 2.28 1.84 1.42
H: 1.94 2.76 3.15

Computed properties:
**Gap between HOMO and LUMO (alpha / beta)**: 6.439 / 6.586 eV
**2S+1**: 3
**E_tot**: -21586.6124 eV
**ΔE to the lowest compared entry with this formula, charge and spin**: 0.0 kcal per mole
**Lowest unoccupied orbital energy (alpha / beta)**: 0.879 / -1.776 eV

natural (NBO) atomic charge list, values in e, 2 entries: 1.832 -0.907

***

# C11H17BN2

C11H17BN2 in the gas phase (wB97M-V/def2-TZVPD, the Open Molecules 2025 dataset).

Cartesian coordinates (Å):
=====
The creation of positive feelings (rather than 'objective' rules) are certainly the 'main stream ' of STO-ness since positive feelings are of the radiant path.
There is a couple of useful little questions to ask oneself from time to time during our walk in life, and these are:
''Am I living in opposition to myself or am I living in agreement with myself?''
''Who am I?''
''What is it that I truly want?''
''If I could create all I wanted, what would that be?''
I would like to quote Sos
(08-19-2009, 11:56 AM)sos Wrote: Hi Metamorpheus. ...The primary problem that I have with it is that all of this has to do with rules/strictures on behavior. I do not think one can be harvested by following simple codes of conduct. I believe Ra made it clear that a profound inner transformation must occur. In my opinion, this must occur as an act of Grace and is a gift from the Creator. What I'm saying is that there will be a fundamental change of the heart. ...God Bless.
I agree here! Well said, Sos!
Metamorpheus, wouldn't you say that STO is first of all, a connection to the heart, in alignment to the radiant energy of the heart?
STS would definitely by-pass the heart (green-ray), we know that. There is an enlightenment STS where the heart connection has been by-passed.
I would like very much if you could elaborate your position regarding your list versus the heart chakra activity. I mean as an exercise and, if you are interested in doing so, of course.
(Qu'o 2009 May 09)''You are not building a stairway to heaven. You are spiraling into the light of truth. As you go, you are learning to love yourself and others and the Creator. You are learning to accept love from yourself, from others, and from the Creator.../...You are here to love. The rules are simple. In each challenging piece of catalyst there is that thread of truth, “I am here to love. I am here to trust. I am here to gain the insight that all is well''.../...set your intention to love and serve the Creator by loving and serving the best in all that you see—yourself, others, the world around you.../..However, in the process of being a loving and compassionate person, you shall inevitably discover that there are those things for which you would wish to be forgiven. And so that loving heart of yours opens and says, “Please forgive me.” Most importantly, in terms of karma, rather, that loving heart opens towards the self and you are able to forgive yourself.../... It is often far easier to forgive others than to forgive the self. Therefore, as you discover within yourself those suspicions that you may have karma with another and that you wish to stop the wheel of karma, remember that in addition to forgiving the other, .../... it is crucial always to forgive yourself.”
Thank you for your posting and, take care
Love and Light